Given.
+++
Entry A
{
  "formula": "C2H7BNO5P",
  "method": "wB97M-V/def2-TZVPD",
  "total_charge": -2,
  "e_homo_ev": -1.01,
  "gap_ev": 7.23,
  "elements": ["B", "C", "C", "N", "O", "O", "O", "O", "O", "P", "H", "H", "H", "H", "H", "H", "H"],
  "xyz": [[-0.6281, 0.3127, 0.3661], [0.0723, -0.5140, 1.6082], [0.2818, 1.2526, -0.3261], [-0.0395, 0.1549, -1.0554], [-2.3377, 0.8808, 2.9165], [-2.7513, 2.8441, 1.2099], [-4.4451, 0.9958, 1.3532], [1.0251, 2.2624, -0.6611], [-2.1617, 0.5054, 0.3166], [-2.9467, 1.2041, 1.6084], [1.1563, -0.2969, 1.5815], [-0.0772, -1.6426, 1.7327], [-0.3824, 0.0731, 2.4938], [2.8227, 2.2604, -0.3655], [0.2151, 0.1014, -2.0748], [3.3347, 2.3245, -0.9447], [-1.7873, 3.0021, 1.2312]],
  "mulliken_charge": [0.4563, -0.8875, 0.2734, -0.4639, -0.7410, -0.5612, -0.8277, -0.8069, -0.3891, 0.7886, 0.2128, 0.2092, 0.2491, -0.1738, 0.2330, 0.1195, 0.3091]
}



Entry B
{
  "formula": "C2H7BNO5P",
  "method": "wB97M-V/def2-TZVPD",
  "total_charge": -2,
  "e_homo_ev": -0.86,
  "gap_ev": 6.98,
  "elements": ["B", "C", "C", "N", "O", "O", "O", "O", "O", "P", "H", "H", "H", "H", "H", "H", "H"],
  "xyz": [[-0.1987, -0.6489, 0.5405], [-1.7065, -0.7061, 1.2124], [0.9648, -0.0230, 1.3834], [-0.1595, -1.6895, -0.6083], [-0.5087, 0.8978, -2.6316], [0.4781, 2.9232, -1.4918], [1.8304, 0.7063, -1.6297], [2.1831, 0.0554, 1.2172], [-0.0709, 0.8662, 0.0585], [0.3497, 1.4292, -1.4578], [-2.4141, -1.5046, 0.7112], [-2.1217, 0.2045, 1.0305], [-1.7056, -0.8046, 2.3287], [0.6748, 0.6685, 2.3117], [-0.4279, -1.1895, -1.4602], [0.7952, -1.9339, -0.8102], [2.0376, 0.7492, -0.7044]],
  "mulliken_charge": [0.8792, -1.1188, 0.0711, -0.9225, -0.8128, -0.8181, -0.5068, -0.7161, -0.4587, 0.7521, 0.1072, 0.4223, 0.2155, 0.0254, 0.2861, 0.2408, 0.3541]
}



Which of them is most stable, and which least? Most stable: entry B; least stable: entry A.



Entry A
{
  "formula": "CH4N2O2S",
  "method": "wB97M-V/def2-TZVPD",
  "e_homo_ev": -9.71,
  "gap_ev": 10.07,
  "elements": ["C", "N", "N", "O", "O", "S", "H", "H", "H", "H"],
  "xyz": [[-0.6217, 0.1340, -0.4084], [1.5614, 0.5864, 3.7280], [2.0005, -0.3782, 3.4608], [1.0852, 1.5812, 3.9961], [1.5227, 1.3213, 0.7261], [0.0695, 1.0358, 1.0123], [-1.6993, 0.4692, -0.3696], [-0.0610, 0.7081, -1.1811], [-0.4823, -0.9051, -0.5587], [-0.5187, 2.1250, 0.2147]],
  "mulliken_charge": [-0.8647, 0.8551, -0.3315, -0.5363, -0.5454, 0.3316, 0.2972, 0.3051, 0.3278, 0.1611]
}



Entry B
{
  "formula": "CH4N2O2S",
  "method": "wB97M-V/def2-TZVPD",
  "e_homo_ev": -8.17,
  "gap_ev": 6.81,
  "elements": ["C", "N", "N", "O", "O", "S", "H", "H", "H", "H"],
  "xyz": [[0.6352, 1.0178, -0.4624], [2.8640, 0.4262, -0.3953], [-0.5201, -1.3007, -0.2833], [3.4287, -0.4506, 0.1232], [1.6834, 0.8229, 0.3488], [-0.5767, 2.1487, 0.0004], [0.9471, 1.0023, -1.5290], [0.2066, -1.6858, 0.3199], [-1.2261, -0.7852, 0.2665], [-0.7300, 1.4284, 1.1401]],
  "mulliken_charge": [-0.0605, 0.2327, -0.5820, -0.2338, -0.0878, -0.1065, 0.3067, 0.2017, 0.1859, 0.1437]
}



Entry C
{
  "formula": "CH4N2O2S",
  "method": "wB97M-V/def2-TZVPD",
  "e_homo_ev": [-8.99, -8.99],
  "gap_ev": [8.56, 8.56],
  "elements": ["C", "N", "N", "O", "O", "S", "H", "H", "H", "H"],
  "xyz": [[-1.5201, 0.6485, -0.1855], [1.4618, -0.6520, -0.1093], [-1.1073, -0.5407, -0.3062], [-1.1681, 2.2947, 1.6218], [-1.6568, -1.6577, -0.4169], [-1.3736, 2.2418, 0.1815], [1.8542, -0.5691, -0.9860], [1.9366, -1.4702, 0.1720], [0.0090, -0.4946, -0.4412], [1.5644, 0.1993, 0.4697]],
  "mulliken_charge": [0.2040, -0.7797, 0.3001, -0.4856, -0.6028, 0.2240, 0.2659, 0.2274, 0.3544, 0.2921]
}



Which of them is most stable, and which least? Most stable: entry A; least stable: entry B.
+++

What to do.
Now find the line further up that holds "[-0.4279, -1.1895,", then print that line and all lines after it there.

Outcome.
  "xyz": [[-0.1987, -0.6489, 0.5405], [-1.7065, -0.7061, 1.2124], [0.9648, -0.0230, 1.3834], [-0.1595, -1.6895, -0.6083], [-0.5087, 0.8978, -2.6316], [0.4781, 2.9232, -1.4918], [1.8304, 0.7063, -1.6297], [2.1831, 0.0554, 1.2172], [-0.0709, 0.8662, 0.0585], [0.3497, 1.4292, -1.4578], [-2.4141, -1.5046, 0.7112], [-2.1217, 0.2045, 1.0305], [-1.7056, -0.8046, 2.3287], [0.6748, 0.6685, 2.3117], [-0.4279, -1.1895, -1.4602], [0.7952, -1.9339, -0.8102], [2.0376, 0.7492, -0.7044]],
  "mulliken_charge": [0.8792, -1.1188, 0.0711, -0.9225, -0.8128, -0.8181, -0.5068, -0.7161, -0.4587, 0.7521, 0.1072, 0.4223, 0.2155, 0.0254, 0.2861, 0.2408, 0.3541]
}



Which of them is most stable, and which least? Most stable: entry B; least stable: entry A.



Entry A
{
  "formula": "CH4N2O2S",
  "method": "wB97M-V/def2-TZVPD",
  "e_homo_ev": -9.71,
  "gap_ev": 10.07,
  "elements": ["C", "N", "N", "O", "O", "S", "H", "H", "H", "H"],
  "xyz": [[-0.6217, 0.1340, -0.4084], [1.5614, 0.5864, 3.7280], [2.0005, -0.3782, 3.4608], [1.0852, 1.5812, 3.9961], [1.5227, 1.3213, 0.7261], [0.0695, 1.0358, 1.0123], [-1.6993, 0.4692, -0.3696], [-0.0610, 0.7081, -1.1811], [-0.4823, -0.9051, -0.5587], [-0.5187, 2.1250, 0.2147]],
  "mulliken_charge": [-0.8647, 0.8551, -0.3315, -0.5363, -0.5454, 0.3316, 0.2972, 0.3051, 0.3278, 0.1611]
}



Entry B
{
  "formula": "CH4N2O2S",
  "method": "wB97M-V/def2-TZVPD",
  "e_homo_ev": -8.17,
  "gap_ev": 6.81,
  "elements": ["C", "N", "N", "O", "O", "S", "H", "H", "H", "H"],
  "xyz": [[0.6352, 1.0178, -0.4624], [2.8640, 0.4262, -0.3953], [-0.5201, -1.3007, -0.2833], [3.4287, -0.4506, 0.1232], [1.6834, 0.8229, 0.3488], [-0.5767, 2.1487, 0.0004], [0.9471, 1.0023, -1.5290], [0.2066, -1.6858, 0.3199], [-1.2261, -0.7852, 0.2665], [-0.7300, 1.4284, 1.1401]],
  "mulliken_charge": [-0.0605, 0.2327, -0.5820, -0.2338, -0.0878, -0.1065, 0.3067, 0.2017, 0.1859, 0.1437]
}



Entry C
{
  "formula": "CH4N2O2S",
  "method": "wB97M-V/def2-TZVPD",
  "e_homo_ev": [-8.99, -8.99],
  "gap_ev": [8.56, 8.56],
  "elements": ["C", "N", "N", "O", "O", "S", "H", "H", "H", "H"],
  "xyz": [[-1.5201, 0.6485, -0.1855], [1.4618, -0.6520, -0.1093], [-1.1073, -0.5407, -0.3062], [-1.1681, 2.2947, 1.6218], [-1.6568, -1.6577, -0.4169], [-1.3736, 2.2418, 0.1815], [1.8542, -0.5691, -0.9860], [1.9366, -1.4702, 0.1720], [0.0090, -0.4946, -0.4412], [1.5644, 0.1993, 0.4697]],
  "mulliken_charge": [0.2040, -0.7797, 0.3001, -0.4856, -0.6028, 0.2240, 0.2659, 0.2274, 0.3544, 0.2921]
}



Which of them is most stable, and which least? Most stable: entry A; least stable: entry B.